Search code examples

ElasticSearch - query documents by term and field priority

I'm currently working with elasticsearch and I'm trying to implement a query from the Java backend that will query documents from my index not only by term but by field priority as well. In my index, I have documents that have a term and a field that specifies a type.

term: "Flu Shot"
type: "procedure"

term: "Fluphenazine"
type: "drug"

I created a query that will search by term and the elastic index will return the most relevant results matching that term. The functionality I want to create is to create a query to return results matching that same term but ordered by a priority of the 'type' field. For example when I type "flu" I want to get the documents with type: "procedure" first then after them the ones with the type "drug". Currently, the index returns only documents with type "drugs" due to many drugs that start with "flu".


  • You can use function_score.

    The function_score allows you to modify the score of documents that are retrieved by a query. To use function_score, the user has to define a query and one or more functions, that compute a new score for each document returned by the query.

Between two parts of the text: records of molecules >
<<<
# 1
DFT (the ωB97M-V functional and the def2-TZVPD basis) results for a structure of composition C40H41Cl3IN6O4SSeTc at a distorted geometry.

Geometry as XYZ:
```
98
Properties=species:S:1:pos:R:3:mulliken_spin:R:1
Tc -2.371 -1.102 -0.602 2.0174
O -2.236 -1.461 1.457 0.0272
S -1.060 -1.306 2.425 0.0316
C -1.871 -1.048 4.013 0.0043
C -2.981 -1.806 4.343 0.0020
C -3.567 -1.635 5.584 0.0012
C -3.039 -0.718 6.481 -0.0002
C -1.936 0.045 6.134 -0.0005
C -1.343 -0.117 4.892 -0.0008
C -0.628 -3.034 2.722 0.0008
C -1.485 -4.026 2.282 0.0020
C -1.133 -5.352 2.464 -0.0042
C 0.076 -5.672 3.061 -0.0003
C 0.927 -4.667 3.498 0.0005
C 0.577 -3.338 3.333 -0.0018
H -3.372 -2.523 3.636 0.0008
H -4.434 -2.219 5.852 -0.0001
H -3.488 -0.599 7.454 0.0000
H -1.539 0.772 6.824 -0.0001
H -0.480 0.470 4.616 -0.0006
H -2.401 -3.765 1.773 0.0067
H -1.810 -6.127 2.142 0.0001
H 0.352 -6.707 3.182 0.0000
H 1.863 -4.906 3.977 0.0001
H 1.232 -2.546 3.660 -0.0002
C 5.219 0.657 -4.014 0.0001
C 5.100 0.414 -2.508 0.0005
C 5.740 -0.942 -2.164 0.0000
C 5.926 1.491 -1.780 0.0000
C 3.599 0.442 -2.041 -0.0025
O 3.527 0.219 -0.649 -0.0004
C 2.931 1.784 -2.447 0.0048
C 1.795 2.253 -1.528 -0.0114
C 2.242 2.592 -0.135 -0.0113
C 3.240 3.534 0.088 -0.0031
C 3.651 3.853 1.368 0.0002
C 3.045 3.239 2.452 -0.0002
Cl 3.537 3.644 4.062 0.0001
C 2.039 2.307 2.254 0.0222
C 1.652 1.988 0.967 -0.0337
C 2.798 -0.749 -2.661 -0.0023
N 1.684 -1.127 -1.836 -0.0020
C 0.420 -0.716 -1.886 -0.0064
N -0.278 -1.328 -0.930 -0.0330
C 0.639 -2.133 -0.333 0.0136
N 1.822 -2.021 -0.866 0.0003
H 6.260 0.551 -4.309 0.0000
H 4.894 1.656 -4.285 0.0000
H 4.636 -0.062 -4.582 0.0000
H 6.821 -0.832 -2.108 0.0000
H 5.530 -1.693 -2.922 0.0000
H 5.387 -1.302 -1.200 0.0000
H 6.927 1.501 -2.204 0.0000
H 6.032 1.279 -0.717 0.0000
H 5.522 2.493 -1.890 -0.0001
H 4.190 0.768 -0.216 0.0000
H 2.545 1.689 -3.462 0.0002
H 3.685 2.569 -2.468 -0.0009
H 1.010 1.500 -1.465 0.0191
H 1.359 3.146 -1.983 0.0039
H 3.699 4.043 -0.746 0.0001
H 4.431 4.580 1.527 0.0001
H 1.568 1.842 3.104 0.0007
H 0.872 1.252 0.819 0.0231
H 3.436 -1.631 -2.715 0.0005
H 2.419 -0.492 -3.650 0.0006
H 0.014 -0.061 -2.631 0.0058
H 0.417 -2.804 0.470 0.0036
Cl -4.887 -1.559 -3.493 0.0003
C -3.335 -1.911 -4.268 0.0080
Cl -3.465 -1.792 -6.021 0.0021
C -2.257 -0.923 -3.730 -0.0134
O -1.354 -0.549 -4.437 0.0170
O -2.422 -0.582 -2.507 0.0937
H -3.063 -2.936 -3.995 0.0002
Se -1.962 1.273 0.527 0.6839
C -2.048 3.021 -0.200 0.0073
C -1.649 4.080 0.622 0.0636
C -1.781 5.379 0.181 -0.0406
C -2.302 5.635 -1.081 0.0939
C -2.676 4.583 -1.907 -0.0390
C -2.551 3.276 -1.475 0.0430
H -1.245 3.865 1.602 0.0024
H -1.484 6.194 0.825 -0.0006
H -2.418 6.653 -1.421 0.0042
H -3.077 4.788 -2.888 -0.0009
H -2.844 2.455 -2.118 0.0063
N -2.772 -4.205 -1.032 0.0922
C -2.570 -3.083 -0.898 -0.1128
I -8.347 0.589 -1.152 0.0001
C -6.628 -0.502 -0.729 -0.0013
C -6.545 -1.865 -0.512 0.0175
N -5.248 -2.139 -0.319 0.0101
N -4.487 -1.040 -0.417 -0.0329
C -5.315 -0.031 -0.656 0.0137
>>>

    Example your data in question (using Elasticsearch server 7.9):

    1. Create index, and add documents

**Between two parts of the page: calculated molecules**
'''
[1]
The following is a quantum chemistry calculation of a 2-piece molecular cluster, C4H9O2 overall, from OMol25.

The value obtained for the energy relative to the best compared isomer or geometry (same formula, charge and spin) is 6.6 kcal/mol. The total charge is -1.

Each line ends with the natural charge from an NBO analysis.
Positions of all 15 atoms, in Å:
C  1.5442  -1.4093  0.6934  -0.74
C  1.9735  -0.0811  1.3763  0.76
O  2.1959  0.8694  0.5979  -0.79
O  2.0295  -0.1120  2.6251  -0.79
H  0.6474  -1.8430  1.1461  0.19
H  2.3357  -2.1555  0.5942  0.19
H  1.2619  -1.2040  -0.3351  0.18
C  -1.9964  0.9695  -0.3125  -0.60
C  -0.9816  0.5097  -1.3771  -0.60
H  -2.8511  1.4707  -0.7720  0.18
H  -2.2764  0.1318  0.3192  0.20
H  -1.5495  1.7311  0.3318  0.21
H  -1.5452  -0.0141  -2.1541  0.17
H  -0.3203  -0.2140  -0.9129  0.23
H  -0.4675  1.3509  -1.8203  0.21

Cartesian forces, eV/Å:
-0.4 0.0 -0.7
-0.1 -0.4 0.1
0.1 0.2 -0.1
0.1 0.0 0.0
0.3 -0.1 0.4
0.1 0.0 0.5
0.1 0.2 -0.2
0.7 0.7 -0.2
-1.2 -0.4 0.4
-0.2 -0.3 0.1
-0.4 0.0 0.0
0.1 -0.2 0.1
0.2 0.0 -0.2
0.4 0.3 -0.2
0.4 0.0 0.0

***

[2]
The following is a quantum chemistry calculation of C53H56BrN13OSeTi as an isolated structure, from OMol25.

Its total energy is -8665.29442 Ha.

Each line ends with the Löwdin charge.
Positions of all 126 atoms, in Å:
Ti  -0.1825  0.7224  0.5323  1.22
C  2.5955  -0.1616  -5.3030  -0.08
C  1.8369  -1.2116  -4.4795  -0.19
C  0.8878  -0.5484  -3.5335  -0.14
C  -0.3932  -0.1613  -3.7787  -0.13
C  -1.1686  -0.2506  -5.0567  -0.18
C  -2.2975  -1.2899  -5.0405  -0.08
C  -0.8698  0.4414  -2.5589  -0.22
N  0.1059  0.4615  -1.6001  0.06
C  1.1958  -0.1220  -2.1921  -0.22
C  2.4424  -0.2542  -1.6178  0.07
C  2.8152  0.2697  -0.3974  -0.23
C  4.1183  0.0762  0.1959  -0.13
C  5.2250  -0.7273  -0.4063  -0.18
C  6.0392  0.0804  -1.4242  -0.07
C  4.0986  0.7418  1.3807  -0.13
C  2.7833  1.3332  1.4908  -0.21
C  2.3665  2.0745  2.5774  0.07
C  1.0943  2.5764  2.7408  -0.21
N  0.0907  2.4704  1.8205  0.05
C  -0.9804  3.1089  2.3846  -0.24
C  -2.2377  3.2066  1.8238  0.06
C  -2.6338  2.6061  0.6476  -0.21
N  -1.8351  1.8395  -0.1630  0.04
C  -2.5907  1.5946  -1.2759  -0.25
C  -2.1430  0.9511  -2.4076  0.05
C  -3.9064  2.1713  -1.1488  -0.15
C  -3.9389  2.7919  0.0625  -0.12
C  -5.0510  3.5798  0.6765  -0.18
C  -4.8987  5.0777  0.3811  -0.07
C  -4.9671  2.1246  -2.2018  -0.19
C  -4.7582  3.2212  -3.2558  -0.07
C  -0.6509  3.6108  3.6970  -0.13
C  0.6473  3.2727  3.9239  -0.12
C  1.4648  3.4994  5.1534  -0.18
C  2.2944  4.7867  5.0843  -0.08
C  -1.6263  4.2426  4.6355  -0.19
C  -1.8767  5.7291  4.3568  -0.08
N  2.0164  1.0355  0.4026  0.07
C  5.1601  0.8014  2.4325  -0.19
C  6.0007  2.0818  2.3733  -0.08
H  3.2865  -0.6342  -6.0018  0.07
H  3.1614  0.5005  -4.6473  0.07
H  1.8874  0.4414  -5.8715  0.07
H  2.5459  -1.8398  -3.9370  0.10
H  1.2733  -1.8600  -5.1539  0.11
H  -0.4849  -0.4934  -5.8721  0.10
H  -1.5935  0.7322  -5.2791  0.12
H  -1.8906  -2.2980  -4.9585  0.07
'''

       PUT /example_index
         "mappings": {
           "properties": {
             "term": {"type": "text" },
             "type": {"type": "keyword"}
       PUT /_bulk
       {"create": {"_index": "example_index", "_id": 1}}
       {"term": "Flu Shot", "type": "procedure"}
       {"create": {"_index": "example_index", "_id": 2}}
       {"term": "Fluphenazine", "type": "drug"}
       {"create": {"_index": "example_index", "_id": 3}}
       {"term": "Flu Shot2", "type": "procedure"}
       {"create": {"_index": "example_index", "_id": 4}}
       {"term": "Fluphenazine2", "type": "drug"}
    2. Query documents using custom scoring logic

       GET /example_index/_search
         "query": {
           "function_score": {
             "query": {
               "wildcard": {
                 "term": {
                   "value": "*flu*"
             "functions": [
                 "filter": {
                   "term": {
                     "type": "procedure"
                 "weight": 2
                 "filter": {
                   "term": {
                     "type": "drug"
                 "weight": 1
    3. Results:

         "took" : 2,
         "timed_out" : false,
         "_shards" : {
           "total" : 1,
           "successful" : 1,
           "skipped" : 0,
           "failed" : 0
         "hits" : {
           "total" : {
             "value" : 4,
             "relation" : "eq"
           "max_score" : 2.0,
           "hits" : [
               "_index" : "example_index",
               "_type" : "_doc",
               "_id" : "1",
               "_score" : 2.0,
               "_source" : {
                 "term" : "Flu Shot",
                 "type" : "procedure"
               "_index" : "example_index",
               "_type" : "_doc",
               "_id" : "3",
               "_score" : 2.0,
               "_source" : {
                 "term" : "Flu Shot2",
                 "type" : "procedure"
               "_index" : "example_index",
               "_type" : "_doc",
               "_id" : "2",
               "_score" : 1.0,
               "_source" : {
                 "term" : "Fluphenazine",
                 "type" : "drug"
               "_index" : "example_index",
               "_type" : "_doc",
               "_id" : "4",
               "_score" : 1.0,
               "_source" : {
                 "term" : "Fluphenazine2",
                 "type" : "drug"

    You can see the documents with type set to procedure have a higher score than the documents with type set to drug. This is because we've assigned different weights to the different types in the function_score.